Students tend to make certain specific mistakes in Professional exams; that is one of the reason why certain groups need to be taken again and again to clear..
What are the mistakes students commonly do & how to avoid them; Some young CS who has qualified recently share their views..

********
[1]
The following is a computed X-ray diffraction stick pattern of La3CeNd. It was derived from a DFT-relaxed cell (PBE, Alexandria), using Cu Kα, 1.54184 Å.
Kinematic intensities with the Lorentz-polarization factor, no thermal factor.

The 12 most intense peaks (2θ from 10° to 90°), by angle:
d (Å)	Position (°2θ)	Rel. int.	(hkl)
3.861	23.0	11.4	1 1 0
3.362	26.5	15.8	0 0 2
2.996	29.8	100.0	2 0 1
2.528	35.5	16.2	2 1 0
2.370	38.0	37.8	2 0 2
1.930	47.1	20.8	2 2 0
1.862	48.9	20.9	2 0 3
1.674	54.8	7.7	2 2 2
1.623	56.7	17.6	4 0 1
1.497	62.0	7.5	4 0 2
1.396	67.1	10.1	3 2 2
1.268	74.9	10.4	2 2 4

a = 7.7218 Å, b = 7.7218 Å, c = 6.7238 Å
α = 90.00°, β = 90.00°, γ = 120.00°
Positions (direct):
La1 0.1892 0.3783 0.2500
La2 0.1892 0.8108 0.2500
La3 0.3783 0.1892 0.7500
La4 0.6217 0.8108 0.2500
La5 0.8108 0.1892 0.7500
La6 0.8108 0.6217 0.7500
Ce1 0.0000 0.0000 0.0000
Ce2 0.0000 0.0000 0.5000
Nd1 0.3333 0.6667 0.7500
Nd2 0.6667 0.3333 0.2500

[2]
The following is a computed X-ray diffraction stick pattern of LaCe2Nd. It was derived from a DFT-relaxed cell (PBE, Alexandria), using Cu Kα, 1.54184 Å.
Kinematic intensities with the Lorentz-polarization factor, no thermal factor.

The 12 most intense peaks (2θ from 10° to 90°), by angle:
d (Å)	Position (°2θ)	Rel. int.	(hkl)
2.893	30.9	100.0	1 0 2
2.560	35.0	17.8	0 0 4
2.479	36.2	32.7	1 1 0
1.781	51.3	24.1	1 1 4
1.753	52.2	11.5	2 0 0
1.535	60.3	14.7	1 0 6
1.499	61.9	27.4	2 1 2
1.446	64.4	12.1	2 0 4
1.155	83.8	11.7	2 1 6
1.139	85.2	5.7	3 0 2
1.137	85.3	5.6	1 1 8
1.116	87.4	5.4	2 2 4

a = 3.5061 Å, b = 3.5061 Å, c = 10.2409 Å
α = 90.00°, β = 90.00°, γ = 90.00°
Positions (direct):
La1 0.0000 0.0000 0.0000
Ce1 0.5000 0.5000 0.2467
Ce2 0.5000 0.5000 0.7533
Nd1 0.0000 0.0000 0.5000

* * * * *

(1)
Starting from a crystal structure in the Materials Project, relaxed with PBE, the X-ray powder pattern of Pr3SiSe2N3 was computed for CuKα.
Lines closer than 0.1° are merged.

Structural model:
abc: 19.1390 19.1390 10.4974
angles: 90.00 90.00 120.00
Space group R-3 (No. 148, hexagonal axes)
Asymmetric unit:
Pr: 0.0138 0.8665 0.1157 (multiplicity 18)
Pr: 0.0210 0.7680 0.8099 (multiplicity 18)
Pr: 0.0873 0.2294 0.5150 (multiplicity 18)
Si: 0.0076 0.9141 0.7028 (multiplicity 18)
Se: 0.0404 0.7534 0.3127 (multiplicity 18)
Se: 0.0422 0.4998 0.6651 (multiplicity 18)
N: 0.0074 0.9151 0.3306 (multiplicity 18)
N: 0.0097 0.8907 0.8685 (multiplicity 18)
N: 0.0185 0.8391 0.6282 (multiplicity 18)

Peak list (8 most intense, 2θ from 5° to 70°, low angle first)
- 2θ 24.90, I = 23.1
- 2θ 25.76, I = 12.7
- 2θ 29.00, I = 100.0
- 2θ 31.68, I = 16.2
- 2θ 36.57, I = 13.1
- 2θ 38.99, I = 13.6
- 2θ 41.12, I = 28.9
- 2θ 41.82, I = 25.9

(2)
Starting from a crystal structure in the Materials Project, relaxed with PBE, the X-ray powder pattern of Pb2CO6 was computed for CuKα.
Lines closer than 0.1° are merged.

Structural model:
abc: 4.8768 4.8768 23.6985
angles: 90.00 90.00 120.00
Space group R3m (No. 160, hexagonal axes)
Asymmetric unit:
********

1) Preparing only with scanners and notes (here notes refer to the notes taken by the student/friends while attending the classes. These will be incomplete for preparation unless we study the subject fully and relate it to the notes) - Many people, including me at first, think that going by the scanner will be helpful in covering the important areas of the whole syllabus.
I strongly oppose this thought. This view of going by scanner gives a false impression that we are covering the major aspects.But it is not so. Yes, its agreed that some important areas, rather questions, are covered in scanner, but by going only by the scanner, we are missing out the basic area of covering the subject. We cover only the questions and not the subject, if we follow the scanner/solved papers. Covering the topic/subject is necessary for effectively facing exams. I tried to follow this in my last attempt and was able to clear. I had the satisfaction of answering the questions well than my earlier attempts. I shared this view with one of my friends, who echoed this view after completing the exam. Thought of putting forth this here.
2) Continuously studying the same subject and concentrating on it and giving lesser importance to other subjects -
Students think that if they write a paper very well and score 70+ in it, they can compensate the marks with just 40+ marks in other 2 subjects in the module. this is wrong, because, being professional programme, no subject is going to be that easy to score 70+ or even 60+. You need to be studying all the subjects well or atleast give proper respect to the subject, to score well. The students need to concentrate on the subjects to score equally well in the subjects. To be practical, we can say that, we cannot score 70+ in all subjects, atleast we can study well to score 50+ in all the subjects. Any person who has come this far (let it be Executive or Professional) will be able to score 50+ in all subjects, if they put in equal efforts for the subjects, rather than concentrating on only few subjects. If in the single subject we are not able to perform well, it will totally destroy the confidence and we will not be able to do the other subjects even upto the limited extent we have prepared.
3) With regard to the presentation, its general tendancy to write the answer, which we know very well, for pages and pages and not properly writing other answers. This will surely send the signal to the valuer that we are not in a position to write the full paper well. As a result the other answers will be scrutinized highly. The anwers need to be upto the limit of marks and we need to be able to put down the basic points. Not everyone can write the answers exactly upto the point. atleast we can try to be precise and not exaggerate.
Exaggeration of the answers is one of the most common mistakes done during the presentation in exams.
4) Many people, including some of my school seniors, say that, we need to attend the answers which we know well first and then attend the other answers. But i beg to differ.
Its better to answer the questions as per the numerical order. This is because, i'm of the view that, if we write the answers that way, we are presenting ourself as someone who is confident in answering the question as per the order and we are prepared enough not to attend only some questions. We need to write the answers as much as relevant to the question. The student would have put in hard work and prepared. they would have surely known the answer, its just that they don't understand that, they need to strat writing to get the flow of ideas. They get a mental block that they don't know the answer at all and blindly jump to the next question.
( I beg to differ Sailesh: It is better to write in same order only when we are 100 % confident in all questions; else, we can write in the order in which we are comfortable - Mohan kumar)
· Confusion on how many groups to write. And by this way students tend to ask opinion of others and not believing themselves.
· If in a passage there are various points try and write them separately in points and give them separate number.
Prasanna Varadan

1) Initially I didn't refer and study the material supplied by the institute & fully depended on the scanners available in the market. I cleared (in fourth attempt) only when I thoroughly read the institute materials.
2) My request is to avoid discussion with friends before the day of examination and before the start of examination; this lead to failure, I have personally experienced it.
3) Mostly we will concentrate on arithmetical related papers i.e. FM & ATLP and we won't concentrate on theoretical papers.My kind advice is to concentrate equally on all papers at regular intervals.
4) I compared the level of preparations with my co friends which lead to some demotivation, which can be avoided.
My recommendations based on the mistakes:
1) Answer all the questions in a fresh page.
2) Try to Maintain same level of handwriting throughout the answer book.
3) If headings are underlined, please follow the same throughout the answer book.
4) Whenever we are writing working notes, we need to intimate the Working Note nos in the main problems.
5) Final answer was calculated in the Working notes but we may fail to write below the actual problems, Kindly highlight the final answer.
6) Drawing proper lines and tables using rulers help to fetch good marks,though we do not get correct answer for the question. (Step marks)
7) Please avoid leaving any space in between the answer book for any question to answer the same during the later part of the examination because sometimes we may not be able complete the answers within time.
8) Descriptive questions can be presented point wise.
9) Questions having side headings can be presented in the flow chart format.
10) Question Numbers has to be written correctly.(PART,Q.nos.,Sub Q.Nos.)
11) Without fail, write the Additional sheet number and put the tick mark for the questions answered in the front page of the answer book.
Next part : Common mistakes - Girls' perspective.. Will be shared tomorrow ...
You may also read the following related articles:
CS Final - How to prepare and present - Tips by Ms. Sanofar All India Rankholder
CS Final - Subject wise Analysis- Guidance from a senior
Cs Final - Tips from Balaji, Rank holder
How to prepare Module II & III of CS Final
How to prepare for Electives, FM & Tax - Chat with seniors
Whats up chat with seniors - How to prepare for CS Final exams
What are the mistakes students commonly do & how to avoid them; Some young CS who has qualified recently share their views..

1) Preparing only with scanners and notes (here notes refer to the notes taken by the student/friends while attending the classes. These will be incomplete for preparation unless we study the subject fully and relate it to the notes) - Many people, including me at first, think that going by the scanner will be helpful in covering the important areas of the whole syllabus.
I strongly oppose this thought. This view of going by scanner gives a false impression that we are covering the major aspects.But it is not so. Yes, its agreed that some important areas, rather questions, are covered in scanner, but by going only by the scanner, we are missing out the basic area of covering the subject. We cover only the questions and not the subject, if we follow the scanner/solved papers. Covering the topic/subject is necessary for effectively facing exams. I tried to follow this in my last attempt and was able to clear. I had the satisfaction of answering the questions well than my earlier attempts. I shared this view with one of my friends, who echoed this view after completing the exam. Thought of putting forth this here.
2) Continuously studying the same subject and concentrating on it and giving lesser importance to other subjects -
Students think that if they write a paper very well and score 70+ in it, they can compensate the marks with just 40+ marks in other 2 subjects in the module. this is wrong, because, being professional programme, no subject is going to be that easy to score 70+ or even 60+. You need to be studying all the subjects well or atleast give proper respect to the subject, to score well. The students need to concentrate on the subjects to score equally well in the subjects. To be practical, we can say that, we cannot score 70+ in all subjects, atleast we can study well to score 50+ in all the subjects. Any person who has come this far (let it be Executive or Professional) will be able to score 50+ in all subjects, if they put in equal efforts for the subjects, rather than concentrating on only few subjects. If in the single subject we are not able to perform well, it will totally destroy the confidence and we will not be able to do the other subjects even upto the limited extent we have prepared.
3) With regard to the presentation, its general tendancy to write the answer, which we know very well, for pages and pages and not properly writing other answers. This will surely send the signal to the valuer that we are not in a position to write the full paper well. As a result the other answers will be scrutinized highly. The anwers need to be upto the limit of marks and we need to be able to put down the basic points. Not everyone can write the answers exactly upto the point. atleast we can try to be precise and not exaggerate.
Exaggeration of the answers is one of the most common mistakes done during the presentation in exams.
4) Many people, including some of my school seniors, say that, we need to attend the answers which we know well first and then attend the other answers. But i beg to differ.
Its better to answer the questions as per the numerical order. This is because, i'm of the view that, if we write the answers that way, we are presenting ourself as someone who is confident in answering the question as per the order and we are prepared enough not to attend only some questions. We need to write the answers as much as relevant to the question. The student would have put in hard work and prepared. they would have surely known the answer, its just that they don't understand that, they need to strat writing to get the flow of ideas. They get a mental block that they don't know the answer at all and blindly jump to the next question.
( I beg to differ Sailesh: It is better to write in same order only when we are 100 % confident in all questions; else, we can write in the order in which we are comfortable - Mohan kumar)
Mistakes in Preparation
Mistakes in Preparation
· Lack of proper planning and Time Management Skills
* Not using Institute study materials and selecting some other books for reading;
* Not using Institute study materials and selecting some other books for reading;
· Confusion on how many groups to write. And by this way students tend to ask opinion of others and not believing themselves.
· Reading only suggested answers and not going with the syllabus, thinking that only previous years questions will be repeated.
· During your preparation try and study everything. Each and every topic. The basic idea behind this is that you must have something relevant to write about the given topic.
· If in a passage there are various points try and write them separately in points and give them separate number.
· In exam never use short forms like AGM, EGM, CG, CLB,etc.,
· While writing be specific about your answer.
· Attempt full paper of 100 marks.
· If you are not sure of section, then please don write section number.
· Don’t write stories. Answer should be specific.
· Try and improve your recalling power.
Prasanna Varadan

What comes next are calculated crystals, not part of the article >
'''
# 1
Computed powder diffractogram
Compound: Rb3PuBe2O6
Radiation: Cu Ka
Structure: a GGA-PBE-relaxed structure
Intensities are scaled so that the largest is 100.

Main lines, in order of rising 2θ (2θ = 10–80°):
(hkl)  2theta  Rel. int.
0 0 1  12.2  35.1
1 0 0  17.8  61.0
0 1 1  21.7  45.9
1 0 2  30.5  100.0
1 1 0  31.1  64.6
2 0 1  38.3  20.3
2 0 2  44.2  43.1
2 1 2  55.0  36.4
1 1 4  60.4  21.5
1 3 2  73.4  16.6

Structure:
```
data_Rb3PuBe2O6
_chemical_formula_sum 'Rb3 Pu1 Be2 O6'
_symmetry_space_group_name_H-M 'P -3 m 1'
_symmetry_Int_Tables_number 164
_symmetry_space_group_name_Hall '-P 3 2"'
_cell_length_a 5.7446
_cell_length_b 5.7446
_cell_length_c 7.2415
_cell_angle_alpha 90.00
_cell_angle_beta 90.00
_cell_angle_gamma 120.00
loop_
_atom_site_label
_atom_site_fract_x
_atom_site_fract_y
_atom_site_fract_z
Rb1 0.0000 0.0000 0.0000
Rb2 0.3333 0.6667 0.7483
Pu1 0.0000 0.0000 0.5000
Be1 0.3333 0.6667 0.3251
O1 0.1763 0.3527 0.3234
```

---

# 2
Computed powder diffractogram
Compound: RbPuBeO4
Radiation: Cu Ka
Structure: a GGA-PBE-relaxed structure
Intensities are scaled so that the largest is 100.

Main lines, in order of rising 2θ (2θ = 10–80°):
(hkl)  2theta  Rel. int.
1 1 1  20.3  100.0
0 2 1  21.8  51.3
2 0 0  25.7  50.5
1 3 0  29.3  70.9
1 1 2  30.7  55.9
2 2 1  34.0  34.4
1 1 3  43.2  20.7
3 3 0  47.7  23.5
2 4 2  52.2  18.7
1 3 4  62.9  22.7

Structure:
```
data_RbPuBeO4
_chemical_formula_sum 'Rb4 Pu4 Be4 O16'
_symmetry_space_group_name_H-M 'C m c m'
_symmetry_Int_Tables_number 63
_symmetry_space_group_name_Hall '-C 2c 2'
_cell_length_a 6.9213
_cell_length_b 10.1881
_cell_length_c 6.7572
_cell_angle_alpha 90.00
_cell_angle_beta 90.00
_cell_angle_gamma 90.00
loop_
_atom_site_label
_atom_site_fract_x
_atom_site_fract_y
_atom_site_fract_z
Rb1 0.0000 0.0000 0.0000
Pu1 0.0000 0.3413 0.2500
Be1 0.0000 0.3922 0.7500
O1 0.0000 0.3033 0.5445
O2 0.1802 0.4979 0.2500
```

---

# 3
Computed powder diffractogram
Compound: Rb2PuBeO4
Radiation: Cu Ka
Structure: a GGA-PBE-relaxed structure
Intensities are scaled so that the largest is 100.

Main lines, in order of rising 2θ (2θ = 10–80°):
(hkl)  2theta  Rel. int.
0 1 1  18.3  54.8
1 1 0  19.5  67.0
0 0 2  26.2  28.9
2 0 0  29.4  45.6
1 0 2  30.1  35.3
1 2 1  32.6  100.0
2 1 1  34.9  24.4
2 0 2  39.8  29.0
3 2 1  54.2  24.2
2 2 3  57.3  25.0

Structure:
```
data_Rb2PuBeO4
_chemical_formula_sum 'Rb4 Pu2 Be2 O8'
_symmetry_space_group_name_H-M 'P m m n'
_symmetry_Int_Tables_number 59
_cell_length_a 6.0662
_cell_length_b 6.9260
_cell_length_c 6.8056
_cell_angle_alpha 90.00
_cell_angle_beta 90.00
_cell_angle_gamma 90.00
loop_
_symmetry_equiv_pos_as_xyz
'x,y,z'
'-x,-y,-z'
'-x+1/2,-y+1/2,z'
'x+1/2,y+1/2,-z'
'x+1/2,-y,-z'
'-x+1/2,y,z'
'-x,y+1/2,-z'
'x,-y+1/2,z'
loop_
_atom_site_label
_atom_site_fract_x
_atom_site_fract_y
_atom_site_fract_z
Rb1 0.2500 0.0051 0.2127
Pu1 0.2500 0.2500 0.6718
Be1 0.2500 0.7500 0.6534
O1 0.0229 0.7500 0.5090
O2 0.2500 0.5380 0.7817
```

---

# 4
Computed powder diffractogram
'''
End of the calculated crystals >

1) Initially I didn't refer and study the material supplied by the institute & fully depended on the scanners available in the market. I cleared (in fourth attempt) only when I thoroughly read the institute materials.
2) My request is to avoid discussion with friends before the day of examination and before the start of examination; this lead to failure, I have personally experienced it.
3) Mostly we will concentrate on arithmetical related papers i.e. FM & ATLP and we won't concentrate on theoretical papers.My kind advice is to concentrate equally on all papers at regular intervals.
4) I compared the level of preparations with my co friends which lead to some demotivation, which can be avoided.
My recommendations based on the mistakes:
1) Answer all the questions in a fresh page.
2) Try to Maintain same level of handwriting throughout the answer book.
3) If headings are underlined, please follow the same throughout the answer book.
4) Whenever we are writing working notes, we need to intimate the Working Note nos in the main problems.
5) Final answer was calculated in the Working notes but we may fail to write below the actual problems, Kindly highlight the final answer.
6) Drawing proper lines and tables using rulers help to fetch good marks,though we do not get correct answer for the question. (Step marks)
7) Please avoid leaving any space in between the answer book for any question to answer the same during the later part of the examination because sometimes we may not be able complete the answers within time.
8) Descriptive questions can be presented point wise.
9) Questions having side headings can be presented in the flow chart format.
10) Question Numbers has to be written correctly.(PART,Q.nos.,Sub Q.Nos.)
11) Without fail, write the Additional sheet number and put the tick mark for the questions answered in the front page of the answer book.
Next part : Common mistakes - Girls' perspective.. Will be shared tomorrow ...
You may also read the following related articles:
CS Final - How to prepare and present - Tips by Ms. Sanofar All India Rankholder
CS Final - Subject wise Analysis- Guidance from a senior
Cs Final - Tips from Balaji, Rank holder
How to prepare Module II & III of CS Final
How to prepare for Electives, FM & Tax - Chat with seniors
Whats up chat with seniors - How to prepare for CS Final exams
Thanks for your views Sir
Seriously amazing information ..Thank you